**Assignment**
Please echo the whole of the data further below without altering anything.

**Listing**
____________
# TaCo3O, relaxed, DFT GGA+U
# * DOS at the Fermi energy: 4.32 states/eV/cell
# * final energy: -29.72 eV/cell
data_TaCo3O
_chemical_formula_sum 'Ta1 Co3 O1'
_cell_length_a 3.814
_cell_length_b 3.814
_cell_length_c 3.814
_cell_angle_alpha 90.00
_cell_angle_beta 90.00
_cell_angle_gamma 90.00
_symmetry_space_group_name_H-M 'P m -3 m'
_symmetry_Int_Tables_number 221
_symmetry_space_group_name_Hall '-P 4 2 3'
loop_
_atom_site_label
_atom_site_type_symbol
_atom_site_fract_x
_atom_site_fract_y
_atom_site_fract_z
_atom_site_occupancy
Ta1 Ta 0.000 0.000 0.000 1
Co1 Co 0.000 0.500 0.500 1
O1 O 0.500 0.500 0.500 1
____________

**Worked solution**
# TaCo3O, relaxed, DFT GGA+U
# * DOS at the Fermi energy: 4.32 states/eV/cell
# * final energy: -29.72 eV/cell
data_TaCo3O
_chemical_formula_sum 'Ta1 Co3 O1'
_cell_length_a 3.814
_cell_length_b 3.814
_cell_length_c 3.814
_cell_angle_alpha 90.00
_cell_angle_beta 90.00
_cell_angle_gamma 90.00
_symmetry_space_group_name_H-M 'P m -3 m'
_symmetry_Int_Tables_number 221
_symmetry_space_group_name_Hall '-P 4 2 3'
loop_
_atom_site_label
_atom_site_type_symbol
_atom_site_fract_x
_atom_site_fract_y
_atom_site_fract_z
_atom_site_occupancy
Ta1 Ta 0.000 0.000 0.000 1
Co1 Co 0.000 0.500 0.500 1
O1 O 0.500 0.500 0.500 1